An Oklahoma state representative has called for an investigation into the practices of the Oklahoma County District Attorney’s office following additional revelations that county prosecutors deliberately withheld exculpatory evidence and manufactured false testimony to secure a conviction and death sentence against Richard Glossip in his 2004 retrial.

- - -
Computed, not measured: a relaxed structure of Zr2N2O at the GGA-PBE level of DFT. Values from VASP.

Results
Crystal system: triclinic
V (Å³ per atom): 13.5
Energy of formation (meV/atom): -2188

```
&SYSTEM
  ibrav = 0, nat = 40, ntyp = 3
/
ATOMIC_SPECIES
Zr 91.22 Zr.upf
N 14.01 N.upf
O 16.00 O.upf
CELL_PARAMETERS angstrom
8.881 0.000 0.000
-2.983 8.360 0.000
-2.952 -4.155 7.250
ATOMIC_POSITIONS crystal
Zr 0.753 0.968 0.207
Zr 0.996 0.989 0.990
Zr 0.034 0.777 0.245
Zr 0.502 0.504 0.003
Zr 0.530 0.280 0.246
Zr 0.499 0.992 0.501
Zr 0.257 0.542 0.288
Zr 0.293 0.268 0.552
Zr 0.713 0.744 0.460
Zr 0.786 0.250 0.038
Zr 0.207 0.748 0.961
Zr 0.755 0.463 0.724
Zr 0.008 0.499 0.500
Zr 0.464 0.715 0.744
Zr 0.964 0.217 0.750
Zr 0.240 0.029 0.787
N 0.732 0.968 0.960
N 0.756 0.225 0.275
N 0.453 0.483 0.224
N 0.723 0.235 0.771
N 0.772 0.733 0.240
N 0.228 0.272 0.762
N 0.987 0.532 0.257
N 0.512 0.776 0.544
N 0.954 0.729 0.968
N 0.546 0.513 0.775
N 0.224 0.450 0.486
N 0.279 0.767 0.229
N 0.962 0.951 0.726
N 0.240 0.775 0.724
N 0.011 0.466 0.739
N 0.273 0.039 0.046
O 0.537 0.266 0.991
O 0.737 0.012 0.466
O 0.044 0.272 0.030
O 0.768 0.543 0.512
O 0.038 0.048 0.276
O 0.467 0.739 0.013
O 0.265 0.993 0.532
O 0.490 0.229 0.456
```

***

Computed, not measured: a relaxed structure of Li17Nb20O60 at the GGA-PBE level of DFT. Values from VASP.

Results
Crystal system: triclinic
Magnetic moment (Bohr magnetons per cell): 2.7
V (Å³ per atom): 11.6
Energy of formation (meV/atom): -2835

```
&SYSTEM
  ibrav = 0, nat = 97, ntyp = 3
/
ATOMIC_SPECIES
Li 6.94 Li.upf
Nb 92.91 Nb.upf
O 16.00 O.upf
CELL_PARAMETERS angstrom
-4.871 1.694 2.183
-2.972 -2.961 3.722
-6.947 14.778 53.584
ATOMIC_POSITIONS crystal
Li 0.295 0.295 0.029
Li 0.292 0.292 0.130
Li 0.795 0.796 0.179
Li 0.296 0.295 0.329
Li 0.793 0.795 0.280
Li 0.294 0.295 0.429
Li 0.795 0.794 0.379
Li 0.294 0.295 0.529
Li 0.795 0.794 0.479
Li 0.293 0.295 0.630
Li 0.795 0.793 0.580
Li 0.292 0.295 0.730
Li 0.795 0.793 0.680
Li 0.290 0.296 0.830
Li 0.795 0.791 0.780
Li 0.797 0.798 0.879
Li 0.792 0.792 0.980
Nb 0.023 0.016 0.000
Nb 0.008 0.017 0.101
Nb 0.505 0.515 0.053
Nb 0.014 0.009 0.203
Nb 0.515 0.523 0.151
Nb 0.019 0.024 0.301
Nb 0.517 0.511 0.251
Nb 0.016 0.015 0.402
Nb 0.515 0.516 0.352
Nb 0.016 0.017 0.502
Nb 0.516 0.517 0.452
Nb 0.016 0.016 0.602
Nb 0.516 0.517 0.552
Nb 0.016 0.016 0.702
Nb 0.516 0.517 0.652
Nb 0.017 0.014 0.802
Nb 0.515 0.517 0.752
Nb 0.016 0.017 0.902
Nb 0.516 0.516 0.852
Nb 0.525 0.509 0.950
O 0.163 0.345 0.073
O 0.370 0.749 0.013
O 0.736 0.166 0.034
O 0.244 0.880 0.063
O 0.621 0.250 0.089
O 0.128 0.371 0.175
O 0.869 0.629 0.025
O 0.344 0.726 0.116
O 0.734 0.133 0.137
O 0.248 0.870 0.163
O 0.666 0.234 0.184
O 0.123 0.383 0.275
O 0.877 0.627 0.124
O 0.381 0.745 0.212
O 0.750 0.122 0.239
O 0.230 0.845 0.266
O 0.638 0.234 0.287
O 0.125 0.374 0.374
O 0.848 0.662 0.223
O 0.374 0.742 0.313
O 0.733 0.130 0.337
O 0.235 0.874 0.363
O 0.626 0.235 0.388
O 0.127 0.374 0.474
O 0.872 0.626 0.325
O 0.375 0.736 0.413
- - -

At a news conference on September 22, 2022, the fourth date Oklahoma had set to execute Glossip, State Representative Justin Humphrey (R–Lane, pictured) called the prosecution’s conduct in the case “extremely unethical.” “This is unacceptable,” Humphrey said. “You’re looking at taking a person’s life, which makes you no better than a murderer. … I want to call for an investigation.”

Humphrey, who describes himself as “a strong proponent” of capital punishment, said that he initially “was very reluctant” to become involved in Glossip’s case. “Now I’m at the point we’re investigating the wrong people,” Humphrey said. “I don’t think that we should just let this go. … This is unacceptable. … Why would you do that? Why would you manufacture evidence?”

The news conference was held in connection with supplemental petition filed by Glossip’s lawyers in the Oklahoma Court of Criminal Appeals presenting documentation that Oklahoma County prosecutors had withheld evidence that Justin Sneed, their lead witness in the case, had wanted to recant his testimony implicating Glossip in the 1997 murder of motel owner Barry Van Treese, but that Sneed feared doing so would jeopardize a plea deal that had spared him the death penalty for the murder. The prosecution files, which defense counsel were able to view for the first time on September 1, 2022, contained notes regarding a series of meetings between trial prosecutor Connie Pope, Sneed, and his lawyer Gina Walker concerning this issue.

Pope’s co-counsel Gary Ackley told investigators for the law firm Reed Smith — whom legislators retained pro bono to conduct an independent review of the case — that he was never told about Sneed’s desire to recant or negotiate a better deal for himself. “Any prosecutor would be concerned about any cooperating witness in any big case regarding the uncertainty of the waffling back and forth and the disingenuous bad faith nature of such actions,” adding that this evidence clearly had to be disclosed to the defense.

The petition also presented evidence long hidden in the prosecution’s case file that Pope lied to the court, withheld evidence of numerous improper pretrial and midtrial communications with Sneed, violated a witness sequestration order, and manufactured false testimony from Sneed to plug holes in the prosecution case that had developed during the trial.

Sneed had testified at Glossip’s first trial that Glossip had hired him to kill Van Trees and that, acting alone, he had beaten Van Treese to death using only a baseball bat. During the retrial, medical testimony established that Van Treese also had been stabbed and that the distinctive blade of a pocketknife found under Van Treese body could have caused those wounds. When the defense finally obtained access to the prosecution file, they discovered a midtrial letter from Pope to Sneed’s lawyer that there “are a few items that have been testified to that I needed to discuss with Justin,” and that “[o]ur biggest problem is still the knife.” Sneed then changed his account of the murder to comport with the medical testimony, claiming that he also had stabbed Van Treese, and Pope feigned surprise to the court when the defense accused her of a discovery violation for failing to reveal the full scope of Sneed’s anticipated testimony.

Glossip’s petition stressed the exculpatory nature of the evidence relating to the knife. “If Sneed did not use the pocketknife, then somebody else must have been inside the room, and that flatly contradicted the state’s case that rested on Sneed’s account of committing the murder alone,” counsel wrote. During the press conference, Glossip’s lead counsel, Don Knight, said that the prosecutor’s deliberate violation of the sequestration order to supply information to Sneed “calls into serious question the reliability of his testimony. That information was known by the prosecution since 2004, never turned over to the defense at all. … Not only did the prosecution destroy evidence, they manufactured evidence. They changed people’s testimony. They broke the rules, all to try to get a conviction against Rich Glossip on a death penalty case that should never have been brought at all.”

No physical evidence connects Glossip to Van Treese’s murder and, insisting on his innocence, he turned down a plea deal at his trial for a parole-eligible life sentence. His conviction and death sentence rested primarily on the repeatedly changing accounts of the murder provided by Sneed. Multiple witnesses have since come forward with evidence that Sneed falsely implicated Glossip in order to avoid the death penalty.

In February 2022, a bipartisan group of 35 Oklahoma legislators engaged pro bono attorneys at Reed Smith to review the case. While the firm’s review was underway, Oklahoma Attorney General John O’Connor filed a motion with the Oklahoma Court of Criminal Appeals on June 10, 2022 seeking execution dates for 25 Oklahoma death-row prisoners, including Glossip. Reed Smith issued its report five days later, documenting that prosecutors had destroyed key exculpatory records in advance of Glossip’s retrial and concluding that no reasonable jury presented with all the evidence would have convicted him. The firm’s continuing investigation into the case has produced even more evidence of prosecutorial misconduct and Glossip’s likely innocence, which it released in supplemental reports issued on August 9, August 23, and September 20, 2022.

In two orders issued on July 1, the court granted O’Connor’s request to set the execution dates, scheduling Glossip’s execution for September 22. With his execution date pending, Glossip filed a petition in the Oklahoma Court of Criminal Appeals seeking a new trial based on the initial Reed Smith report. Governor Kevin Stitt temporarily stayed Glossip’s execution on August 16, 2022, to provide the appeals court time to determine whether to grant Glossip a hearing on his innocence claim and rescheduled Glossip’s execution for December 8, 2022.

Two-thirds of Oklahoma’s legislators, led by Republican State Representative Kevin McDugle, sent a letter to Attorney General John O’Connor urging him to support Glossip’s request for a new hearing. O’Connor declined and is continuing to oppose granting Glossip an opportunity to present evidence to the court.

“I’m not afraid to have a hearing,” Knight said at the press conference. “I think the state is afraid to have a hearing. They just want to kill this man.”

Citation Guide


Liliana Segura and Jordan Smith, Oklahoma Lawmaker Calls For Investigation Of Prosecutors Who Convicted Richard Glossip, The Intercept, September 23, 2022; Nolan Clay, Death row inmate Richard Glossip accus­es pros­e­cu­tor of fla­grant mis­con­duct at retri­al, The Oklahoman, September 23, 2022; Natalie Clydesdale, Lawmaker calls out DA over new Glossip evi­dence, KFOR News4, Oklahoma City, September 22, 2022; Jordan Tidwell, Glossip’s Attorney Says Uncovered Evidence In Death Row Case Requires New Hearing, KOTV News on 6, Tulsa, September 222022.

Read Richard Glossip’s sup­ple­men­tal appli­ca­tion for post-con­vic­tion relief.